== Excerpt ==
/*
1.
9
Properties=species:S:1:pos:R:3:forces:R:3:lowdin_charge:R:1 method="wB97M-V/def2-TZVPD" homo_ev=-9.84 orbital_gap_ev=10.4 smiles="FC(F)=C[SiH3]"
F 1.33528 2.44408 0.40909 -0.02 -0.28 -0.71 0.093
C 0.69333 1.27571 0.42079 -0.47 0.81 1.46 -0.502
F 0.48963 1.03519 1.73950 0.13 -0.52 -0.79 0.048
C 0.19387 0.57406 -0.56750 -0.29 -2.03 -1.61 -0.151
Si -0.76068 -1.32841 -0.15467 3.51 2.78 0.28 0.730
H 0.37652 0.95372 -1.64364 -0.23 -0.71 2.04 0.082
H 0.18432 -2.46233 0.14760 -0.16 0.53 -0.02 -0.094
H -1.21764 -1.63495 -1.45701 -1.34 -0.22 -0.80 -0.117
H -1.29463 -0.85707 1.10583 -1.13 -0.36 0.15 -0.089

---

2.
11
Properties=species:S:1:pos:R:3:forces:R:3:lowdin_charge:R:1 method="wB97M-V/def2-TZVPD" homo_ev=-10.12 orbital_gap_ev=11.0 smiles="F[SiH](F)F.C=CF"
F -2.42811 3.74739 -3.09040 0.56 -0.66 0.48 -0.112
Si -2.76981 2.32564 -2.44766 -0.51 -0.21 -0.24 0.316
F -3.20286 2.54709 -0.93324 0.41 -0.03 -0.38 -0.113
F -4.08848 1.95270 -3.24596 0.13 -0.35 0.12 -0.116
H -1.77967 1.17079 -2.55063 -0.56 1.24 0.03 0.028
C 1.37957 -0.94971 0.55976 1.09 0.29 1.49 0.017
C 0.31192 -0.16715 0.51601 1.90 -1.01 0.16 -0.279
F -0.89513 -0.55056 0.19761 -1.48 -1.09 -0.42 0.032
H 1.22470 -2.02156 0.62186 0.24 -0.03 -0.73 0.055
H 2.40574 -0.55174 0.91437 -2.08 -0.55 -0.77 0.092
H 0.28415 0.81541 0.81641 0.32 2.40 0.25 0.079

---

3.
8
Properties=species:S:1:pos:R:3:forces:R:3:lowdin_charge:R:1 method="wB97M-V/def2-TZVPD" homo_ev="-9.62 / -9.24" orbital_gap_ev="9.5 / 8.1"
C -2.00237 -0.54939 -0.34205 1.36 -0.56 -1.47 0.031
C 0.59943 0.51216 0.15632 -0.88 -0.66 0.65 0.061
N -3.22768 -0.54904 -0.23370 0.59 -0.89 -0.93 -0.049
F -3.78241 0.57615 0.31196 -0.46 0.85 0.93 -0.086
H 0.79052 -0.56483 0.13535 0.20 0.51 0.26 -0.016
H -1.38703 -1.20592 -1.04744 -1.20 0.60 1.51 0.087
H 0.47155 1.03194 1.12392 0.21 -0.35 -0.89 0.006
H 0.21590 0.91023 -0.76507 0.18 0.50 -0.06 -0.034

---

4.
8
Properties=species:S:1:pos:R:3:forces:R:3:lowdin_charge:R:1 method="wB97M-V/def2-TZVPD" homo_ev=-10.72 orbital_gap_ev=11.8 smiles="C/N=C/F"
C -0.98369 -0.32616 0.01647 0.17 1.12 -1.69 -0.135
N 0.47376 -0.65561 0.00736 -1.73 2.10 0.51 0.046
C 1.21344 0.35860 0.09485 0.30 -2.62 -0.71 -0.267
F 2.51259 0.10237 -0.01303 1.17 0.08 0.17 0.031
H -1.48863 -0.88886 -0.72513 0.13 -1.02 -1.40 0.043
H -1.30106 0.71431 -0.35903 0.83 -1.01 1.35 0.102
H -1.55391 -0.71778 0.82457 0.17 0.38 1.56 0.057
H 1.12751 1.41314 0.15393 -1.02 0.96 0.20 0.123

---

5.
8
Properties=species:S:1:pos:R:3:forces:R:3:lowdin_charge:R:1 method="wB97M-V/def2-TZVPD" homo_ev=-9.75 orbital_gap_ev=10.5
C 0.81216 0.03652 0.14737 -4.24 -0.12 0.19 -0.346
C -1.31467 0.23602 0.04486 3.42 -4.26 3.63 0.110
N 1.29181 -0.52585 -0.82096 -1.44 -0.34 -1.04 0.132
F 1.43551 0.43699 1.24078 0.17 0.26 0.64 0.055
H -1.44809 -0.64764 -0.54495 -0.14 0.29 -0.83 0.020
H -1.17774 1.16958 -0.23941 -0.28 4.02 -2.13 -0.052
H -1.82005 0.13021 1.03332 0.77 0.18 -0.67 0.042
H 2.22107 -0.83583 -0.86101 1.75 -0.03 0.21 0.039

---

6.
10
Properties=species:S:1:pos:R:3:forces:R:3:lowdin_charge:R:1 method="wB97M-V/def2-TZVPD" homo_ev=-16.46 orbital_gap_ev=9.7 total_charge=+1 smiles="FCON1C=[NH+]1"
F -1.97069 1.07071 0.46519 1.06 0.27 -0.13 -0.030
C -1.64240 0.00650 -0.37983 -3.51 1.58 0.42 -0.211
O -0.47351 -0.58665 -0.01510 2.99 -0.56 0.32 -0.027
N 0.70062 0.14180 -0.46222 -2.51 0.24 -0.43 0.161
C 1.84627 -0.49682 -0.05996 1.56 -1.35 -1.61 0.026
N 1.71331 0.39433 0.75955 -1.63 0.87 1.26 0.352
H -1.67093 0.44361 -1.40969 0.16 -0.86 0.74 0.156
H -2.50502 -0.66130 -0.03662 1.62 -0.12 -1.44 0.180
H 2.61809 -1.14964 -0.46553 -0.28 -0.46 0.36 0.186
H 1.38427 0.83746 1.60418 0.54 0.39 0.51 0.207

---

7.
10
Properties=species:S:1:pos:R:3:forces:R:3:lowdin_charge:R:1 method="wB97M-V/def2-TZVPD" homo_ev=-7.50 orbital_gap_ev=8.3
C -1.05368 -1.09065 0.29084 0.31 -0.31 -0.13 -0.013
C 0.88482 1.43885 -0.95663 -2.00 2.10 2.18 -0.275
N 0.95344 0.30337 -0.52642 0.73 -3.72 -1.02 0.008
N 0.97786 -0.12273 0.75056 2.01 1.43 1.59 -0.057
*/

== Brief ==
Could you return only the last part of the data further above, starting with the line that has "0.55976 1.09"?

== Done ==
C 1.37957 -0.94971 0.55976 1.09 0.29 1.49 0.017
C 0.31192 -0.16715 0.51601 1.90 -1.01 0.16 -0.279
F -0.89513 -0.55056 0.19761 -1.48 -1.09 -0.42 0.032
H 1.22470 -2.02156 0.62186 0.24 -0.03 -0.73 0.055
H 2.40574 -0.55174 0.91437 -2.08 -0.55 -0.77 0.092
H 0.28415 0.81541 0.81641 0.32 2.40 0.25 0.079

---

3.
8
Properties=species:S:1:pos:R:3:forces:R:3:lowdin_charge:R:1 method="wB97M-V/def2-TZVPD" homo_ev="-9.62 / -9.24" orbital_gap_ev="9.5 / 8.1"
C -2.00237 -0.54939 -0.34205 1.36 -0.56 -1.47 0.031
C 0.59943 0.51216 0.15632 -0.88 -0.66 0.65 0.061
N -3.22768 -0.54904 -0.23370 0.59 -0.89 -0.93 -0.049
F -3.78241 0.57615 0.31196 -0.46 0.85 0.93 -0.086
H 0.79052 -0.56483 0.13535 0.20 0.51 0.26 -0.016
H -1.38703 -1.20592 -1.04744 -1.20 0.60 1.51 0.087
H 0.47155 1.03194 1.12392 0.21 -0.35 -0.89 0.006
H 0.21590 0.91023 -0.76507 0.18 0.50 -0.06 -0.034

---

4.
8
Properties=species:S:1:pos:R:3:forces:R:3:lowdin_charge:R:1 method="wB97M-V/def2-TZVPD" homo_ev=-10.72 orbital_gap_ev=11.8 smiles="C/N=C/F"
C -0.98369 -0.32616 0.01647 0.17 1.12 -1.69 -0.135
N 0.47376 -0.65561 0.00736 -1.73 2.10 0.51 0.046
C 1.21344 0.35860 0.09485 0.30 -2.62 -0.71 -0.267
F 2.51259 0.10237 -0.01303 1.17 0.08 0.17 0.031
H -1.48863 -0.88886 -0.72513 0.13 -1.02 -1.40 0.043
H -1.30106 0.71431 -0.35903 0.83 -1.01 1.35 0.102
H -1.55391 -0.71778 0.82457 0.17 0.38 1.56 0.057
H 1.12751 1.41314 0.15393 -1.02 0.96 0.20 0.123

---

5.
8
Properties=species:S:1:pos:R:3:forces:R:3:lowdin_charge:R:1 method="wB97M-V/def2-TZVPD" homo_ev=-9.75 orbital_gap_ev=10.5
C 0.81216 0.03652 0.14737 -4.24 -0.12 0.19 -0.346
C -1.31467 0.23602 0.04486 3.42 -4.26 3.63 0.110
N 1.29181 -0.52585 -0.82096 -1.44 -0.34 -1.04 0.132
F 1.43551 0.43699 1.24078 0.17 0.26 0.64 0.055
H -1.44809 -0.64764 -0.54495 -0.14 0.29 -0.83 0.020
H -1.17774 1.16958 -0.23941 -0.28 4.02 -2.13 -0.052
H -1.82005 0.13021 1.03332 0.77 0.18 -0.67 0.042
H 2.22107 -0.83583 -0.86101 1.75 -0.03 0.21 0.039

---

6.
10
Properties=species:S:1:pos:R:3:forces:R:3:lowdin_charge:R:1 method="wB97M-V/def2-TZVPD" homo_ev=-16.46 orbital_gap_ev=9.7 total_charge=+1 smiles="FCON1C=[NH+]1"
F -1.97069 1.07071 0.46519 1.06 0.27 -0.13 -0.030
C -1.64240 0.00650 -0.37983 -3.51 1.58 0.42 -0.211
O -0.47351 -0.58665 -0.01510 2.99 -0.56 0.32 -0.027
N 0.70062 0.14180 -0.46222 -2.51 0.24 -0.43 0.161
C 1.84627 -0.49682 -0.05996 1.56 -1.35 -1.61 0.026
N 1.71331 0.39433 0.75955 -1.63 0.87 1.26 0.352
H -1.67093 0.44361 -1.40969 0.16 -0.86 0.74 0.156
H -2.50502 -0.66130 -0.03662 1.62 -0.12 -1.44 0.180
H 2.61809 -1.14964 -0.46553 -0.28 -0.46 0.36 0.186
H 1.38427 0.83746 1.60418 0.54 0.39 0.51 0.207

---

7.
10
Properties=species:S:1:pos:R:3:forces:R:3:lowdin_charge:R:1 method="wB97M-V/def2-TZVPD" homo_ev=-7.50 orbital_gap_ev=8.3
C -1.05368 -1.09065 0.29084 0.31 -0.31 -0.13 -0.013
C 0.88482 1.43885 -0.95663 -2.00 2.10 2.18 -0.275
N 0.95344 0.30337 -0.52642 0.73 -3.72 -1.02 0.008
N 0.97786 -0.12273 0.75056 2.01 1.43 1.59 -0.057